== Job ==
Now start at the top of the block below and restate each line, ending with the one that has "_space_group_IT_number 99".

== Source ==
'''
# P2OsPb PBEsol relaxed
data_P2OsPb
_chemical_formula_sum 'P4 Os2 Pb2'
_cell_length_a 2.9664
_cell_length_b 5.6444
_cell_length_c 9.3147
_cell_angle_alpha 90.00
_cell_angle_beta 90.00
_cell_angle_gamma 90.00
_space_group_name_H-M_alt 'I m m m'
_space_group_IT_number 71
_space_group_name_Hall '-I 2 2'
loop_
_atom_site_label
_atom_site_type_symbol
_atom_site_fract_x
_atom_site_fract_y
_atom_site_fract_z
_atom_site_occupancy
P1 P 0.0000 0.0000 0.1937 1
Os1 Os 0.0000 0.5000 0.5000 1
Pb1 Pb 0.0000 0.5000 0.0000 1
# ΔH_f (0 K): 0.410 eV/atom
# Calculated total energy: -6.540 eV/atom
# Calculated volume: 156 Å³ per cell

# Mg2CdAs PBEsol relaxed
data_Mg2CdAs
_chemical_formula_sum 'Mg8 Cd4 As4'
_cell_length_a 6.8937
_cell_length_b 6.8937
_cell_length_c 6.8937
_cell_angle_alpha 90.00
_cell_angle_beta 90.00
_cell_angle_gamma 90.00
_space_group_name_H-M_alt 'F m -3 m'
_space_group_IT_number 225
_space_group_name_Hall '-F 4 2 3'
loop_
_atom_site_label
_atom_site_type_symbol
_atom_site_fract_x
_atom_site_fract_y
_atom_site_fract_z
_atom_site_occupancy
Mg1 Mg 0.2500 0.2500 0.2500 1
Cd1 Cd 0.0000 0.0000 0.0000 1
As1 As 0.0000 0.0000 0.5000 1
# ΔH_f (0 K): -0.151 eV/atom
# Calculated total energy: -2.586 eV/atom
# Distance to the lowest polymorph of the same formula: 59 meV/atom
# Calculated volume: 328 Å³ per cell

# ScMn3 PBEsol relaxed
data_ScMn3
_chemical_formula_sum 'Sc1 Mn3'
_cell_length_a 2.6398
_cell_length_b 2.6398
_cell_length_c 8.3136
_cell_angle_alpha 90.00
_cell_angle_beta 90.00
_cell_angle_gamma 120.00
_space_group_name_H-M_alt 'P -6 m 2'
_space_group_IT_number 187
_space_group_name_Hall 'P -6 2'
loop_
_atom_site_label
_atom_site_type_symbol
_atom_site_fract_x
_atom_site_fract_y
_atom_site_fract_z
_atom_site_occupancy
Sc1 Sc 0.0000 0.0000 0.0000 1
Mn1 Mn 0.0000 0.0000 0.5000 1
Mn2 Mn 0.3333 0.6667 0.2802 1
# ΔH_f (0 K): 0.459 eV/atom
# Calculated total energy: -8.513 eV/atom
# Calculated volume: 50 Å³ per cell

# TlI PBEsol relaxed
data_TlI
_chemical_formula_sum 'Tl4 I4'
_cell_length_a 6.8610
_cell_length_b 6.8610
_cell_length_c 6.8610
_cell_angle_alpha 90.00
_cell_angle_beta 90.00
_cell_angle_gamma 90.00
_space_group_name_H-M_alt 'F m -3 m'
_space_group_IT_number 225
_space_group_name_Hall '-F 4 2 3'
loop_
_atom_site_label
_atom_site_type_symbol
_atom_site_fract_x
_atom_site_fract_y
_atom_site_fract_z
_atom_site_occupancy
Tl1 Tl 0.0000 0.0000 0.0000 1
I1 I 0.0000 0.0000 0.5000 1
# Calculated total energy: -2.775 eV/atom
# Distance to the lowest polymorph of the same formula: 3 meV/atom
# Calculated volume: 323 Å³ per cell

# ErOs2 PBEsol relaxed
data_ErOs2
_chemical_formula_sum 'Er4 Os8'
_cell_length_a 5.2303
_cell_length_b 5.2303
_cell_length_c 8.7441
_cell_angle_alpha 90.00
_cell_angle_beta 90.00
_cell_angle_gamma 120.00
_space_group_name_H-M_alt 'P 63/m m c'
_space_group_IT_number 194
_space_group_name_Hall '-P 6c 2c'
loop_
_atom_site_label
_atom_site_type_symbol
_atom_site_fract_x
_atom_site_fract_y
_atom_site_fract_z
_atom_site_occupancy
Er1 Er 0.3333 0.6667 0.0654 1
Os1 Os 0.0000 0.0000 0.0000 1
Os2 Os 0.1715 0.3429 0.7500 1
# ΔH_f (0 K): -0.341 eV/atom
# Calculated total energy: -10.127 eV/atom
# Calculated volume: 207 Å³ per cell

# LiTeOs2 PBEsol relaxed
data_LiTeOs2
_chemical_formula_sum 'Li1 Te1 Os2'
_cell_length_a 2.9102
_cell_length_b 2.9102
_cell_length_c 8.1157
_cell_angle_alpha 90.00
_cell_angle_beta 90.00
_cell_angle_gamma 90.00
_space_group_name_H-M_alt 'P 4 m m'
_space_group_IT_number 99
loop_
_space_group_symop_operation_xyz
'x,y,z'
'-y,x,z'
'-x,-y,z'
'y,-x,z'
'-x,y,z'
'y,x,z'
'x,-y,z'
'-y,-x,z'
loop_
_atom_site_label
_atom_site_type_symbol
_atom_site_fract_x
_atom_site_fract_y
_atom_site_fract_z
_atom_site_occupancy
Li1 Li 0.0000 0.0000 0.0000 1
Te1 Te 0.5000 0.5000 0.6917 1
Os1 Os 0.0000 0.0000 0.4222 1
Os2 Os 0.5000 0.5000 0.2322 1
# Calculated total energy: -7.057 eV/atom
# Calculated volume: 69 Å³ per cell

# Rb2MnPS PBEsol relaxed
data_Rb2MnPS
_chemical_formula_sum 'Rb2 Mn1 P1 S1'
'''

== Solution ==
# P2OsPb PBEsol relaxed
data_P2OsPb
_chemical_formula_sum 'P4 Os2 Pb2'
_cell_length_a 2.9664
_cell_length_b 5.6444
_cell_length_c 9.3147
_cell_angle_alpha 90.00
_cell_angle_beta 90.00
_cell_angle_gamma 90.00
_space_group_name_H-M_alt 'I m m m'
_space_group_IT_number 71
_space_group_name_Hall '-I 2 2'
loop_
_atom_site_label
_atom_site_type_symbol
_atom_site_fract_x
_atom_site_fract_y
_atom_site_fract_z
_atom_site_occupancy
P1 P 0.0000 0.0000 0.1937 1
Os1 Os 0.0000 0.5000 0.5000 1
Pb1 Pb 0.0000 0.5000 0.0000 1
# ΔH_f (0 K): 0.410 eV/atom
# Calculated total energy: -6.540 eV/atom
# Calculated volume: 156 Å³ per cell

# Mg2CdAs PBEsol relaxed
data_Mg2CdAs
_chemical_formula_sum 'Mg8 Cd4 As4'
_cell_length_a 6.8937
_cell_length_b 6.8937
_cell_length_c 6.8937
_cell_angle_alpha 90.00
_cell_angle_beta 90.00
_cell_angle_gamma 90.00
_space_group_name_H-M_alt 'F m -3 m'
_space_group_IT_number 225
_space_group_name_Hall '-F 4 2 3'
loop_
_atom_site_label
_atom_site_type_symbol
_atom_site_fract_x
_atom_site_fract_y
_atom_site_fract_z
_atom_site_occupancy
Mg1 Mg 0.2500 0.2500 0.2500 1
Cd1 Cd 0.0000 0.0000 0.0000 1
As1 As 0.0000 0.0000 0.5000 1
# ΔH_f (0 K): -0.151 eV/atom
# Calculated total energy: -2.586 eV/atom
# Distance to the lowest polymorph of the same formula: 59 meV/atom
# Calculated volume: 328 Å³ per cell

# ScMn3 PBEsol relaxed
data_ScMn3
_chemical_formula_sum 'Sc1 Mn3'
_cell_length_a 2.6398
_cell_length_b 2.6398
_cell_length_c 8.3136
_cell_angle_alpha 90.00
_cell_angle_beta 90.00
_cell_angle_gamma 120.00
_space_group_name_H-M_alt 'P -6 m 2'
_space_group_IT_number 187
_space_group_name_Hall 'P -6 2'
loop_
_atom_site_label
_atom_site_type_symbol
_atom_site_fract_x
_atom_site_fract_y
_atom_site_fract_z
_atom_site_occupancy
Sc1 Sc 0.0000 0.0000 0.0000 1
Mn1 Mn 0.0000 0.0000 0.5000 1
Mn2 Mn 0.3333 0.6667 0.2802 1
# ΔH_f (0 K): 0.459 eV/atom
# Calculated total energy: -8.513 eV/atom
# Calculated volume: 50 Å³ per cell

# TlI PBEsol relaxed
data_TlI
_chemical_formula_sum 'Tl4 I4'
_cell_length_a 6.8610
_cell_length_b 6.8610
_cell_length_c 6.8610
_cell_angle_alpha 90.00
_cell_angle_beta 90.00
_cell_angle_gamma 90.00
_space_group_name_H-M_alt 'F m -3 m'
_space_group_IT_number 225
_space_group_name_Hall '-F 4 2 3'
loop_
_atom_site_label
_atom_site_type_symbol
_atom_site_fract_x
_atom_site_fract_y
_atom_site_fract_z
_atom_site_occupancy
Tl1 Tl 0.0000 0.0000 0.0000 1
I1 I 0.0000 0.0000 0.5000 1
# Calculated total energy: -2.775 eV/atom
# Distance to the lowest polymorph of the same formula: 3 meV/atom
# Calculated volume: 323 Å³ per cell

# ErOs2 PBEsol relaxed
data_ErOs2
_chemical_formula_sum 'Er4 Os8'
_cell_length_a 5.2303
_cell_length_b 5.2303
_cell_length_c 8.7441
_cell_angle_alpha 90.00
_cell_angle_beta 90.00
_cell_angle_gamma 120.00
_space_group_name_H-M_alt 'P 63/m m c'
_space_group_IT_number 194
_space_group_name_Hall '-P 6c 2c'
loop_
_atom_site_label
_atom_site_type_symbol
_atom_site_fract_x
_atom_site_fract_y
_atom_site_fract_z
_atom_site_occupancy
Er1 Er 0.3333 0.6667 0.0654 1
Os1 Os 0.0000 0.0000 0.0000 1
Os2 Os 0.1715 0.3429 0.7500 1
# ΔH_f (0 K): -0.341 eV/atom
# Calculated total energy: -10.127 eV/atom
# Calculated volume: 207 Å³ per cell

# LiTeOs2 PBEsol relaxed
data_LiTeOs2
_chemical_formula_sum 'Li1 Te1 Os2'
_cell_length_a 2.9102
_cell_length_b 2.9102
_cell_length_c 8.1157
_cell_angle_alpha 90.00
_cell_angle_beta 90.00
_cell_angle_gamma 90.00
_space_group_name_H-M_alt 'P 4 m m'
_space_group_IT_number 99